**Source**
-- begin --
No. 1
Entry from the OMol25 dataset: one molecule with the formula C4H6INS at a distorted geometry (wB97M-V/def2-TZVPD).

The geometry in XYZ format:
```
13
Properties=species:S:1:pos:R:3:mulliken_charge:R:1
C 1.02 1.96 -1.35 0.072
C 0.50 0.84 0.87 -0.627
C -0.56 -0.48 0.70 -0.067
C -0.11 -1.43 -0.33 -1.133
N 0.75 1.37 -0.34 0.051
S -2.23 0.04 0.51 -0.322
I 0.03 1.94 -3.21 0.240
H -0.16 1.42 1.63 0.304
H 1.40 0.46 1.57 0.316
H -0.57 -0.93 1.70 0.269
H -0.53 -1.21 -1.42 0.212
H -0.50 -2.43 -0.17 0.383
H 0.97 -1.54 -0.18 0.301
```

Its LUMO energy (spin up / spin down) is -2.79 / -2.79 eV. The value obtained for the calculated total energy is -24665.96760 eV. Its relative energy (zero: lowest compared OMol25 entry of this formula, charge and spin) is 433.2 kJ/mol. The calculation puts the HOMO energy (spin up / spin down) at -7.1 / -7.1 eV. The value obtained for the HOMO-LUMO gap (spin up / spin down) is 4.288 / 4.302 eV.



No. 2
Entry from the OMol25 dataset: a 7-piece molecular cluster, C31H79ClN7O15 overall at a distorted geometry (wB97M-V/def2-TZVPD).

The geometry in XYZ format:
```
133
Properties=species:S:1:pos:R:3:mulliken_charge:R:1
Cl 0.37 -0.89 -0.70 1.097
O 1.30 -1.94 -1.20 -0.759
O 0.55 -0.72 0.74 -0.555
O 0.63 0.35 -1.37 -0.345
O -0.95 -1.31 -1.02 -0.611
C -0.56 -0.70 -5.03 0.637
O -1.60 -0.10 -4.64 -0.643
N -0.25 -0.72 -6.30 -0.456
N 0.31 -1.43 -4.36 -0.021
H -0.87 -0.19 -6.89 0.286
H 0.59 -1.20 -6.60 0.126
H 0.34 -1.48 -3.36 -0.131
H 1.02 -1.81 -4.96 0.136
C -5.09 4.45 -2.79 -0.836
O -4.35 3.22 -2.68 -0.201
C -3.94 2.93 -1.24 -0.944
C -2.79 1.89 -1.30 -0.339
N -3.02 0.69 -2.11 0.296
C -4.25 -0.06 -1.71 -0.935
C -4.25 -1.39 -2.41 -0.161
O -3.97 -1.26 -3.81 -0.265
C -3.52 -2.46 -4.55 -0.631
H -5.35 4.71 -3.81 0.214
H -4.61 5.33 -2.37 0.318
H -5.95 4.26 -2.13 0.324
H -4.77 2.81 -0.54 0.445
H -3.50 3.82 -0.79 0.530
H -2.60 1.62 -0.27 0.345
H -1.89 2.37 -1.69 0.113
H -2.22 0.11 -1.90 -0.054
H -5.15 0.53 -1.86 0.428
H -4.29 -0.21 -0.63 0.428
H -5.09 -2.07 -2.23 0.501
H -3.47 -2.04 -2.01 -0.147
H -3.25 -2.31 -5.60 0.296
H -4.30 -3.21 -4.66 0.383
H -2.70 -2.90 -3.99 0.049
C 2.76 8.13 -1.14 -0.749
O 2.49 6.71 -1.46 -0.289
C 3.58 6.04 -2.16 -0.662
C 3.33 4.54 -2.26 -0.156
N 2.45 4.33 -3.40 -0.358
C 1.86 2.99 -3.27 -0.776
C 1.43 2.43 -4.69 0.108
O 2.29 2.71 -5.73 -0.422
C 2.01 1.98 -6.96 -0.652
H 3.80 8.22 -0.82 0.321
H 2.11 8.43 -0.31 0.238
H 2.58 8.81 -1.97 0.259
H 4.50 6.04 -1.56 0.403
H 3.93 6.50 -3.08 0.343
H 2.94 4.02 -1.39 0.030
H 4.31 4.15 -2.52 0.349
H 3.04 4.37 -4.22 0.309
H 1.02 2.91 -2.58 0.367
H 2.58 2.24 -2.93 0.302
H 0.43 2.78 -4.94 0.405
H 1.42 1.35 -4.58 -0.100
H 2.23 0.92 -6.88 0.204
H 2.52 2.48 -7.79 0.276
H 0.94 2.08 -7.12 0.287
C -0.60 -5.42 -4.61 -0.495
O 0.01 -5.89 -3.42 -0.426
C -0.16 -5.07 -2.23 -0.066
C 0.76 -5.48 -1.11 -0.803
N 0.43 -4.82 0.11 0.697
C 1.36 -5.09 1.19 -0.629
C 1.44 -6.54 1.75 -0.816
O 0.36 -6.81 2.58 -0.385
C -0.68 -7.56 2.01 -0.564
H -0.46 -6.20 -5.36 0.303
H -0.23 -4.42 -4.87 0.111
H -1.67 -5.54 -4.42 0.276
H -1.19 -5.07 -1.87 0.277
H 0.08 -4.03 -2.42 -0.014
H 1.81 -5.32 -1.38 0.311
H 0.62 -6.55 -0.94 0.342
H 0.37 -3.83 -0.11 -0.339
H 1.29 -4.41 2.04 0.152
H 2.36 -4.90 0.80 0.541
H 2.34 -6.57 2.37 0.385
H 1.53 -7.30 0.97 0.424
H -0.23 -8.51 1.74 0.381
H -1.15 -7.01 1.19 0.196
H -1.40 -7.76 2.80 0.181
C 3.10 1.99 0.70 -0.296
O 2.61 3.14 1.39 -0.340
C 1.22 3.06 1.69 -0.544
C 0.87 2.29 3.03 -0.337
N 1.04 3.05 4.25 -0.378
C 2.40 3.55 4.53 -0.167
C 2.44 4.73 5.58 -0.818
O 2.20 4.25 6.82 -0.162
C 2.52 5.26 7.78 -0.847
H 2.76 2.00 -0.33 -0.119
H 2.82 1.01 1.10 0.225
H 4.18 2.07 0.63 0.305
H 0.65 2.66 0.84 0.147
H 0.71 4.02 1.79 0.471
H 1.52 1.42 3.05 0.161
H -0.17 1.95 3.05 0.333
H 1.00 2.37 4.99 0.195
H 2.81 4.06 3.66 0.298
H 3.06 2.80 4.97 0.236
H 1.74 5.50 5.24 0.349
H 3.47 5.06 5.45 0.380
H 2.53 4.74 8.74 0.226
H 1.77 6.06 7.71 0.343
H 3.49 5.74 7.74 0.336
C 1.29 0.58 7.18 -0.892
O 0.57 0.31 6.01 -0.152
C -0.11 -0.86 5.97 -0.623
C -0.49 -1.10 4.49 -0.336
N -1.10 -2.41 4.26 -0.449
-- stop --
**Job**
What is needed: count the lines above that contain the word "Properties" and give the number alone.
**Outcome**
2